Ms Qinglu Cheng

These calculated molecules were left in the entry by mistake:
........
This record from the OMol25 dataset describes C37H48Cl2OP4W as an isolated structure. The level of theory is ωB97M-V/def2-TZVPD.

Properties
orbital gap (alpha / beta) = 6.932 / 2.959 eV
total charge = +2
relative energy (zero: lowest compared OMol25 entry of this formula, charge and spin) = 32.68 kcal/mol
multiplicity = 3
max |F| = 3.46 eV/A

CARTESIAN COORDINATES (ANGSTROEM)
W 0.176 -0.826 2.643
Cl 2.063 0.285 3.548
Cl -0.461 -1.425 4.876
P -3.877 -2.372 0.585
P 1.524 -2.811 2.601
P 1.346 1.070 -3.275
P -1.109 1.846 3.636
O -2.029 -0.103 -0.845
C 0.504 -4.249 2.235
C 2.830 -2.733 1.362
C 3.028 1.254 -3.977
C 0.938 0.009 0.828
C 2.394 -3.209 4.133
C 0.569 -2.742 -4.520
C -0.379 1.975 5.323
C 0.890 2.492 5.601
C -0.533 -1.297 -6.122
C -1.123 1.383 6.357
C 4.767 0.844 -5.621
C -1.343 -1.166 -0.132
C 0.677 -0.327 -4.254
C -3.595 -3.464 -0.812
C 1.422 2.383 6.889
C 5.620 1.724 -4.948
C -0.113 -0.695 0.549
C -0.112 -0.174 -5.403
C -0.803 2.807 -3.476
C 0.241 4.359 -5.556
C -1.561 3.843 -4.019
C 3.908 2.109 -3.280
C -1.042 4.620 -5.063
C -2.537 2.970 3.933
C -0.603 1.308 7.643
C -0.056 2.931 2.605
C 0.672 1.810 7.920
C 0.471 2.507 -4.002
C 5.189 2.353 -3.771
C -0.190 -2.579 -5.685
C -4.443 -3.275 2.016
C -1.817 -1.533 2.259
C -4.927 -0.983 0.180
C -2.252 -1.655 0.982
C 3.482 0.595 -5.130
C 1.000 3.315 -5.019
C 0.991 -1.625 -3.801
H 6.619 1.924 -5.338
H -1.427 0.311 -1.494
H 1.676 -3.414 4.933
H -5.397 -3.759 1.767
H 5.097 0.349 -6.537
H -0.361 2.759 1.561
H 5.856 3.036 -3.240
H 0.656 4.963 -6.365
H -5.889 -1.352 -0.197
H 1.699 0.636 0.393
H -2.908 -4.269 -0.516
H 2.438 2.743 7.073
H -0.510 -3.454 -6.254
H -2.561 4.047 -3.630
H 1.140 -5.143 2.188
H 2.004 3.131 -5.399
H 3.568 2.579 -2.357
H -3.132 2.625 4.795
H -0.260 -4.374 3.013
H 3.410 -3.664 1.403
H 1.580 -1.742 -2.890
H -4.551 -3.903 -1.127
H 3.486 -1.878 1.562
H -3.711 -4.042 2.300
H -5.083 -0.383 1.086
H -2.130 3.972 4.157
H -4.415 -0.371 -0.575
H -1.640 5.426 -5.491
H -1.094 -2.000 -0.818
H 3.018 -4.095 3.959
H -0.005 -4.107 1.275
H -1.124 -1.161 -7.030
H 2.394 -2.611 0.364
H 1.001 2.667 2.697
H -0.216 3.980 2.880
H 2.834 -0.107 -5.651
H -2.488 -1.818 3.080
H -3.172 3.021 3.034
H -1.192 2.224 -2.640
H 1.481 2.955 4.809
H 1.083 1.749 8.931
H -3.159 -2.897 -1.647
H -4.597 -2.586 2.856
H -0.394 0.821 -5.745
H -1.189 0.833 8.427
H 0.837 -3.745 -4.177
H -2.096 0.945 6.142
H 3.026 -2.369 4.442


This record from the OMol25 dataset describes C37H48CrN4OP2S as an isolated structure. The level of theory is ωB97M-V/def2-TZVPD.

Properties
orbital gap (alpha / beta) = 5.906 / 5.973 eV
total charge = +1
relative energy (zero: lowest compared OMol25 entry of this formula, charge and spin) = 8.77 kcal/mol
multiplicity = 2
max |F| = 0.92 eV/A

CARTESIAN COORDINATES (ANGSTROEM)
Cr -0.154 -0.003 -0.162
S 1.540 2.725 0.763
P -2.531 0.483 0.509
P 1.331 -1.598 -1.370
O 1.167 0.044 1.024
N -0.819 0.662 -2.116
N 0.493 2.031 -0.403
N 0.590 3.986 -1.725
N -0.811 -1.867 0.358
C 0.449 7.102 0.262
C 2.454 -4.276 1.533
........

Ms Qinglu Cheng

Research Fellow

MSc, PhD

Medicine & Health
The Kirby Institute

Qinglu Cheng is a Research Fellow at the Surveillance Evaluation & Research Programs at the Kirby Institute. She completed her PhD in 2019 at Queensland University of Technology. She currently works on projects under the Centre for Research Excellence on the implementation of point of care testing for infectious diseases.

+61 (2) 9385 0550
  • Journal articles | 2025
    Cheng Q; Fattah RA; Susilo D; Satrya A; Haemmerli M; Kosen S; Novitasari D; Puteri GC; Adawiyah E; Hayen A; Mills A; Tangcharoensathien V; Jan S; Thabrany H; Asante A; Wiseman V, 2025, 'Determinants of healthcare utilization under the Indonesian national health insurance system – a cross-sectional study', BMC Health Services Research, 25,
    Journal articles | 2024
    Cheng Q; Hoad VC; Bentley P; Harley R; Schenberg K; Wiseman V, 2024, 'Optimal malarial screening strategy in Australian blood donors: A cost-effectiveness analysis', Vox Sanguinis, 119, pp. 936 - 944,
    Journal articles | 2024
    Cheng Q; Valerio H; Cunningham EB; Shih STF; Silk D; Conway A; Treloar C; Murray C; Henderson C; Amin J; Read P; Dore GJ; Grebely J; Bath N; Milat A; Dunlop A; Holden J; Leadbeatter K; Day E; Habraken N; Dawson O; Degenhardt L; Scott C; Tillakeratne S; Marks P; Jayasinghe I; Martinez M; Reid H; Gleeson V; Van Dyk J; Mercade GE; Marshall AD; Obeid S; Wheeler A; Hooshyar SH; Catlett B; Verich A; Erratt A; Wheeler A; Ezard N; Reid D; Gorton C; Hayllar J; Lam T; Datta P; Wade A; Spruce S; Cock V; Cornwell M; Zohrab K; Christmass M; Connelly C; Cooper A; Montebello M; Cherry R; Dyer J; Arawal S; Press E; Horasak N; Lewis R; Carthew A; Morris D; Donohue K; Griffiths K; Lana JD; Shin S; Graf C; Hampson A; Qian S; Brown D; Lautier A; Curran C; Burns C; Raidu R; Stolzenhein K; Brabender W; Somes K; Abram N; Turne R; Larter S; Goodberg F; Luksza J; Hall M; Hazelwood S; Ismay C; McClurg B; Mincham C; Barlow K; Hoskins A; Salisbury K; Markham J; Talmet J; Dunn S; Mitchell A; McKinnon A; Smyth F; Snell L; Laing E; Clark M; Dorigo J, 2024, 'Health-Related Quality of Life of People Who Inject Drugs: The Enhancing Treatment of Hepatitis C in Opioid Substitution Settings Engage Study', Value in Health, 27, pp. 216 - 225,
    Journal articles | 2023
    Asante A; Cheng Q; Susilo D; Satrya A; Haemmerli M; Fattah RA; Kosen S; Novitasari D; Puteri GC; Adawiyah E; Hayen A; Mills A; Tangcharoensathien V; Jan S; Thabrany H; Wiseman V, 2023, 'The benefits and burden of health financing in Indonesia: analyses of nationally representative cross-sectional data', The Lancet Global Health, 11, pp. e770 - e780,
    Journal articles | 2023
    Cheng Q; Bajis S; Cunningham E; Shih STF; Schulz M; Marshall AD; Martin NK; Miners A; Hajarizadeh B; Wiseman V; Dore GJ; Grebely J, 2023, 'Health-related quality of life among people who inject drugs in Australia', Quality of Life Research, 32, pp. 3195 - 3207,
    Journal articles | 2023
    Cheng Q; Cunningham EB; Shih S; Amin J; Bruneau J; Artenie AA; Powis J; Litwin AH; Cooper C; Dalgard O; Hellard M; Bruggmann P; Marks P; Lacombe K; Stedman C; Read P; Hajarizadeh B; Dunlop AJ; Conway B; Feld JJ; Dore GJ; Grebely J; Dore G; Crawford S; Swan T; Byrne J; Coordinating Centre—Amanda Erratt ML; Marks P; Shaw I; Siriragavan S; Quiene S; Petoumenos K; Schmid P; Castro E; Moriggia A; Daulouede JP; Fraser C; Feld J; Gane E; Matthews G; Kronborg I; Shaw D; Norton B; Thurnheer MC; Weltman M; Dillon J; Kessler S; Knapp C; Oprandi L; Messina P; Pantic M; Le Cam M; Maitre C; Andreassen J; Melkeraaen I; Tollefsen MM; Pagarigan H; Milne R; Mason K; Kaznowski D; Zou L; Bouchard R; Kotsoros B; Muir M; Milloy J; Oliver V; Noonan T; Sevehon A; Hazelwood S; Hall M; Hagenauer M; Liddle R; Ferguson C; Agyemang L; Patel H; Soloway I; Cerocchi O; Lacalamita M; Fragomeli V; Gilliver R; Lothian R; Cleary S; Johnston L; Middleton S; D'Amico R; McGovern B; Anderson J; Zhong Z; Keane F; Tatsch F; Brainard D; McHutchison J, 2023, 'Patient-Reported Outcomes During and After Hepatitis C Virus Direct-Acting Antiviral Treatment Among People Who Inject Drugs', Value in Health, 26, pp. 883 - 892,
    Journal articles | 2023
    Cheng Q; Dang T; Nguyen TA; Velen K; Nguyen VN; Nguyen BH; Vu DH; Long CH; Do TT; Vu TM; Marks GB; Yapa M; Fox GJ; Wiseman V, 2023, 'MHealth application for improving treatment outcomes for patients with multidrug-resistant tuberculosis in Vietnam: An economic evaluation protocol for the V-SMART trial', BMJ Open, 13,
    Journal articles | 2023
    Cheng Q; Hoad VC; Roy Choudhury A; Seed CR; Bentley P; Shih STF; Kwon JA; Gray RT; Wiseman V, 2023, 'Removing hepatitis C antibody testing for Australian blood donations: A cost-effectiveness analysis', Vox Sanguinis, 118, pp. 471 - 479,
    Journal articles | 2023
    Cheng Q; Poynten IM; Jin F; Grulich A; Ong JJ; Hillman RJ; Hruby G; Howard K; Newall A; Boettiger DC, 2023, 'Cost-effectiveness of screening and treating anal pre-cancerous lesions among gay, bisexual and other men who have sex with men living with HIV', The Lancet Regional Health - Western Pacific, 32,
    Journal articles | 2023
    Cheng Q; Poynten IM; Jin F; Grulich A; Ong JJ; Hillman RJ; Hruby G; Howard K; Newall AT; Boettiger DC, 2023, 'Cost-effectiveness of treating serendipitously diagnosed anal pre-cancerous lesions among gay, bisexual and other men who have sex with men living with HIV', The Lancet Regional Health - Western Pacific, 37,
    Journal articles | 2023
    Fattah RA; Cheng Q; Thabrany H; Susilo D; Satrya A; Haemmerli M; Kosen S; Novitasari D; Puteri GC; Adawiyah E; Hayen A; Gilson L; Mills A; Tangcharoensathien V; Jan S; Asante A; Wiseman V, 2023, 'Incidence of catastrophic health spending in Indonesia: insights from a Household Panel Study 2018–2019', International Journal for Equity in Health, 22,
    Journal articles | 2023
    Hoad V; Cheng Q; Bentley P; Seed C; Harley R; Wiseman V; Gosbell I; Schenberg K, 2023, 'Optimizing Donor Malaria Management in Australia Using a Risk and Cost Effectiveness Analysis', TRANSFUSION, 63, pp. 131A - 132A,
    Journal articles | 2023
    Shih STF; Cheng Q; Carson J; Valerio H; Sheehan Y; Gray RT; Cunningham EB; Kwon JA; Lloyd AR; Dore GJ; Wiseman V; Grebely J, 2023, 'Optimizing point-of-care testing strategies for diagnosis and treatment of hepatitis C virus infection in Australia: a model-based cost-effectiveness analysis', The Lancet Regional Health - Western Pacific, 36,
    Journal articles | 2023
    Zhang Y; Carter HE; Lazzarini PA; Cramb S; Pacella R; van Netten JJ; Cheng Q; Derhy PH; Kinnear EM; McPhail SM, 2023, 'Cost-effectiveness of guideline-based care provision for patients with diabetes-related foot ulcers: A modelled analysis using discrete event simulation', Diabetic Medicine, 40,
    Journal articles | 2022
    Cheng Q; Asante A; Susilo D; Satrya A; Man N; Fattah RA; Haemmerli M; Kosen S; Novitasari D; Puteri GC; Adawiyah E; Hayen A; Gilson L; Mills A; Tangcharoensathien V; Jan S; Thabrany H; Wiseman V, 2022, 'Equity of health financing in Indonesia: A 5-year financing incidence analysis (2015–2019)', The Lancet Regional Health - Western Pacific, 21,
    Journal articles | 2022
    Haemmerli M; Asante A; Susilo D; Satrya A; Fattah RA; Cheng Q; Kosen S; Novitasari D; Puteri GC; Adawiyah E; Hayen A; Gilson L; Mills A; Tangcharoensathien V; Jan S; Thabrany H; Wiseman V, 2022, 'Using measures of quality of care to assess equity in health care funding for primary care: analysis of Indonesian household data', BMC Health Services Research, 22,
    Journal articles | 2022
    Jadambaa A; Graves N; Cross D; Pacella R; Thomas HJ; Scott JG; Cheng Q; Brain D, 2022, 'Economic Evaluation of an Intervention Designed to Reduce Bullying in Australian Schools', Applied Health Economics and Health Policy, 20, pp. 79 - 89,
    Journal articles | 2022
    Zhang Y; Cramb S; McPhail SM; Pacella R; van Netten JJ; Cheng Q; Derhy PH; Kinnear EM; Lazzarini PA, 2022, 'Multiple factors predict longer and shorter time-to-ulcer-free in people with diabetes-related foot ulcers: Survival analyses of a large prospective cohort followed-up for 24-months', Diabetes Research and Clinical Practice, 185,
    Journal articles | 2021
    Zhang Y; Carter H; Lazzarini P; Cramb S; Pacella R; Netten JV; Cheng Q; Derhy P; Kinnear E; McPhail S, 2021, '1505Cost-effectiveness of guideline-based care for diabetes-related foot ulcers: using discrete event simulation in economic evaluation', International Journal of Epidemiology, 50,
    Journal articles | 2021
    Zhang Y; Cramb S; McPhail S; Pacella R; van Netten J; Cheng Q; Derhy P; Kinnear E; Lazzarini P, 2021, '1506Flexible parametric survival models investigating factors associated with diabetes-related foot ulcer time-to-healing', International Journal of Epidemiology, 50,
    Journal articles | 2021
    Zhang Y; Cramb S; McPhail SM; Pacella R; van Netten JJ; Cheng Q; Derhy PH; Kinnear EM; Lazzarini PA, 2021, 'Factors associated with healing of diabetes-related foot ulcers: Observations from a large prospective real-world cohort', Diabetes Care, 44, pp. e143 - e145,
    Journal articles | 2021
    Zhang Y; van Netten JJ; Baba M; Cheng Q; Pacella R; McPhail SM; Cramb S; Lazzarini PA, 2021, 'Diabetes-related foot disease in Australia: a systematic review of the prevalence and incidence of risk factors, disease and amputation in Australian populations', Journal of Foot and Ankle Research, 14,
    Journal articles | 2019
    Barnsbee L; Cheng Q; Tulleners R; Lee X; Brain D; Pacella R, 2019, 'Measuring costs and quality of life for venous leg ulcers', International Wound Journal, 16, pp. 112 - 121,
    Journal articles | 2019
    Brain D; Tulleners R; Lee X; Cheng Q; Graves N; Pacella R, 2019, 'Cost-effectiveness analysis of an innovative model of care for chronic wounds patients', PLoS ONE, 14,
    Journal articles | 2019
    Cheng Q; Kularatna S; Lee XJ; Graves N; Pacella RE, 2019, 'Comparison of EQ-5D-5L and SPVU-5D for measuring quality of life in patients with venous leg ulcers in an Australian setting', Quality of Life Research, 28, pp. 1903 - 1911,
    Journal articles | 2019
    McCosker L; Tulleners R; Cheng Q; Rohmer S; Pacella T; Graves N; Pacella R, 2019, 'Chronic wounds in Australia: A systematic review of key epidemiological and clinical parameters', International Wound Journal, 16, pp. 84 - 95,
    Journal articles | 2019
    Pacella RE; Tulleners R; McCosker L; Cheng Q; Harding K; Edwards H; Yelland S; Dyer A; McGuiness W; Graves N, 2019, 'Reimbursement for the cost of compression therapy for the management of venous leg ulcers in Australia', International Wound Journal, 16, pp. 1069 - 1072,
    Journal articles | 2019
    Tulleners R; Brain D; Lee X; Cheng Q; Graves N; Pacella RE, 2019, 'Health benefits of an innovative model of care for chronic wounds patients in Queensland', International Wound Journal, 16, pp. 334 - 342,
    Journal articles | 2018
    Cheng Q; Gibb M; Graves N; Finlayson K; Pacella RE, 2018, 'Cost-effectiveness analysis of guideline-based optimal care for venous leg ulcers in Australia', BMC Health Services Research, 18,
    Journal articles | 2018
    Cheng Q; Graves N; Pacella RE, 2018, 'Comparison of EQ-5D-5L and SPVU-5D for Measuring Quality of Life Among Patients with Venous Leg Ulcers', Value in Health, 21, pp. S91 - S91,
    Journal articles | 2018
    Cheng Q; Graves N; Pacella RE, 2018, 'Economic Evaluations of Guideline-Based Care for Chronic Wounds: a Systematic Review', Applied Health Economics and Health Policy, 16, pp. 633 - 651,
    Journal articles | 2018
    Cheng Q; Kinner SA; Lee XJ; Snow KJ; Graves N, 2018, 'Cost-utility analysis of low-intensity case management to increase contact with health services among ex-prisoners in Australia', BMJ Open, 8,
    Journal articles | 2017
    Cheng Q; Lazzarini PA; Gibb M; Derhy PH; Kinnear EM; Burn E; Graves N; Norman RE, 2017, 'A cost-effectiveness analysis of optimal care for diabetic foot ulcers in Australia', International Wound Journal, 14, pp. 616 - 628,
    Journal articles | 2017
    Mathews B; Bromfield L; Walsh K; Cheng Q; Norman RE, 2017, 'Reports of child sexual abuse of boys and girls: Longitudinal trends over a 20-year period in Victoria, Australia', Child Abuse and Neglect, 66, pp. 9 - 22,
    Journal articles | 2016
    Cheng Q; Church J; Haas M; Goodall S; Sangster J; Furber S, 2016, 'Cost-effectiveness of a Population-based Lifestyle Intervention to Promote Healthy Weight and Physical Activity in Non-attenders of Cardiac Rehabilitation', Heart Lung and Circulation, 25, pp. 265 - 274,
    Journal articles | 2016
    Cheng Q; Greenslade JH; Parsonage WA; Barnett AG; Merollini K; Graves N; Peacock WF; Cullen L, 2016, 'Change to costs and lengths of stay in the emergency department and the Brisbane protocol: An observational study', BMJ Open, 6,
    Journal articles | 2016
    Graves N; Wloch C; Wilson J; Barnett A; Sutton A; Cooper N; Merollini K; McCreanor V; Cheng Q; Burn E; Lamagni T; Charlett A, 2016, 'A cost-effectiveness modelling study of strategies to reduce risk of infection following primary hip replacement based on a systematic review', Health Technology Assessment, 20, pp. 1 - 144,
    Journal articles | 2016
    Norman RE; Gibb M; Dyer A; Prentice J; Yelland S; Cheng Q; Lazzarini PA; Carville K; Innes-Walker K; Finlayson K; Edwards H; Burn E; Graves N, 2016, 'Improved wound management at lower cost: A sensible goal for Australia', International Wound Journal, 13, pp. 303 - 316,
    Journal articles | 2015
    Cheng Q; Church J; Haas M; Goodall S; Sangster J; Furber S, 2015, 'Cost-effectiveness of a Population-based Lifestyle Intervention to Promote Healthy Weight and Physical Activity in Non-attenders of Cardiac Rehabilitation', Heart Lung and Circulation,
  • Preprints |
    Shih STF; Cheng Q; Carson J; Valerio H; Sheehan Y; Gray RT; Cunningham EB; Kwon J; Lloyd AR; Dore GJ; Wiseman V; Grebely J, Optimizing Point-of-Care Testing Strategies for Diagnosis and Treatment of Hepatitis C Virus Infection in Australia: A Model-Based Cost-Effectiveness Analysis,
    Preprints |
    Shih STF; Cheng Q; Carson J; Valerio H; Sheehan Y; Gray RT; Cunningham EB; Kwon J; Lloyd AR; Dore GJ; Wiseman V; Grebely J, Optimizing Point-of-Care Testing Strategies for Diagnosis and Treatment of Hepatitis C Virus Infection in Australia: A Model-Based Cost-Effectiveness Analysis,